# Data
'''
A molecular structure, C41H38AsErN4O3PS2 at a distorted geometry. Source: the Open Molecules 2025 dataset; level of theory: ωB97M-V/def2-TZVPD.

* net charge: +1
* orbital gap (alpha / beta): 5.39 / 5.40 eV
* 2S+1: 4
* HOMO (alpha / beta): -9.6208 / -9.6208 eV

```
91
Properties=species:S:1:pos:R:3:mulliken_spin:R:1
Er 0.170 4.204 -1.005 3.0339
C -3.787 5.189 1.247 -0.0003
C -4.703 4.280 0.684 0.0002
C -4.398 3.740 -0.560 -0.0005
C -3.100 3.913 -1.130 0.0035
N -2.181 4.709 -0.470 -0.0009
C -2.560 5.334 0.636 0.0001
C -2.687 3.202 -2.361 -0.0057
C -3.496 2.303 -3.071 -0.0006
C -2.897 1.405 -3.950 0.0000
C -1.553 1.590 -4.298 -0.0007
C -0.848 2.589 -3.642 -0.0006
N -1.358 3.306 -2.619 -0.0030
C 0.530 2.887 -4.027 -0.0010
C 1.089 2.571 -5.274 -0.0001
C 2.455 2.580 -5.428 0.0003
C 3.286 2.859 -4.313 -0.0003
C 2.661 3.114 -3.085 -0.0004
N 1.331 3.325 -3.020 -0.0066
H -3.976 5.800 2.150 0.0000
H -5.646 3.990 1.209 0.0000
H -5.094 3.069 -1.015 0.0000
H -1.766 6.003 0.999 -0.0001
H -4.583 2.316 -2.875 0.0000
H -3.442 0.542 -4.413 0.0000
H -1.077 1.023 -5.049 0.0000
H 0.319 2.206 -5.991 0.0000
H 2.852 2.280 -6.434 0.0000
H 4.360 2.903 -4.390 0.0000
H 3.207 3.221 -2.177 0.0001
C -1.805 -3.375 0.409 0.0000
C -0.986 -3.632 1.673 0.0000
As 0.940 -3.942 1.388 -0.0001
C 0.889 -5.715 2.310 0.0001
C 0.927 -6.861 1.528 -0.0001
C 0.753 -8.098 2.111 0.0001
C 0.543 -8.215 3.476 0.0000
C 0.502 -7.085 4.296 0.0001
C 0.620 -5.831 3.682 -0.0002
C 1.763 -2.953 2.845 0.0000
C 2.896 -3.434 3.487 0.0000
C 3.582 -2.756 4.491 0.0000
C 3.163 -1.443 4.765 0.0000
C 2.166 -0.879 3.989 0.0000
C 1.467 -1.602 3.079 0.0000
P -1.748 -1.879 -0.639 0.0000
C -0.151 -1.932 -1.533 0.0005
C -0.091 -2.666 -2.769 -0.0003
C 1.090 -2.846 -3.436 0.0002
C 2.279 -2.174 -2.997 -0.0001
C 2.192 -1.383 -1.880 0.0001
C 1.008 -1.303 -1.117 -0.0003
C -1.589 -0.520 0.530 0.0010
C -2.242 -0.577 1.775 -0.0003
C -2.177 0.480 2.692 0.0002
C -1.466 1.624 2.436 0.0010
C -0.853 1.727 1.188 -0.0018
C -0.929 0.705 0.275 -0.0003
H -2.849 -3.507 0.628 0.0000
H -1.587 -4.116 -0.348 0.0000
H -1.420 -4.486 2.262 0.0000
H -1.043 -2.738 2.314 0.0000
H 1.042 -6.734 0.457 0.0000
H 0.740 -8.997 1.496 0.0000
H 0.348 -9.211 3.864 0.0000
H 0.300 -7.153 5.354 0.0000
H 0.599 -4.890 4.246 0.0000
H 3.289 -4.382 3.148 0.0000
H 4.432 -3.221 5.001 0.0000
H 3.672 -0.805 5.489 0.0000
H 1.864 0.133 4.159 0.0000
H 0.705 -1.133 2.498 0.0001
H -1.018 -3.177 -3.095 0.0000
H 1.116 -3.436 -4.356 0.0000
H 3.209 -2.204 -3.557 0.0000
H 3.078 -0.811 -1.560 0.0000
H 1.053 -0.623 -0.278 -0.0001
H -2.811 -1.454 2.075 0.0000
H -2.761 0.358 3.618 0.0000
H -1.357 2.413 3.212 0.0000
H -0.409 2.656 0.880 -0.0056
H -0.502 0.819 -0.729 0.0001
N 1.101 6.222 -1.565 -0.0009
H 1.517 6.350 -2.482 0.0004
H 1.879 6.320 -0.911 0.0001
H 0.496 7.086 -1.444 -0.0002
O 1.749 3.169 -0.073 -0.0059
S 1.883 4.112 1.114 0.0021
O 0.598 4.997 0.910 -0.0071
O 1.778 3.339 2.343 -0.0002
S 3.455 5.214 0.947 -0.0001
```

A single C7H8O3 molecule at a distorted geometry. Source: the Open Molecules 2025 dataset; level of theory: ωB97M-V/def2-TZVPD.

* SMILES: C#C[C@H](O)/C=C/CC(=O)O
* orbital gap: 10.40 eV
* HOMO: -9.7583 eV

```
18
Properties=species:S:1:pos:R:3:lowdin_charge:R:1
C -1.831 2.354 2.092 0.1326
C -1.861 1.426 1.317 -0.0671
C -1.935 0.300 0.368 -0.4127
O -2.493 -0.808 1.036 -0.0227
C -0.563 0.037 -0.222 -0.0436
C 0.240 -0.953 0.167 -0.0774
C 1.609 -1.258 -0.369 -0.1107
C 2.371 -0.070 -0.841 -0.4749
O 2.859 0.857 -0.256 0.1282
'''

# Activity
Your job: return only the lines earlier on with the word "orbital" in them.

# Reply
* orbital gap (alpha / beta): 5.39 / 5.40 eV
* orbital gap: 10.40 eV